Contents
........
# 1
DFT (ωB97M-V/def2-TZVPD) results for a molecular structure, C34H37CrN7O8PS at a distorted geometry.

The LUMO energy (alpha / beta) is 1.83 / 1.60 eV. The spin multiplicity is 5. The molar mass comes out at 786.7 g mol⁻¹. As for the charge: -1.

XYZ file:
```
89
Properties=species:S:1:pos:R:3:lowdin_charge:R:1
H -2.2958 -5.0092 0.1940 0.107
H 0.5087 -2.8877 2.4014 0.072
C 1.4128 2.2696 2.4190 -0.609
N -1.8974 -1.6881 -0.0292 0.036
C -3.2705 2.8820 0.8089 0.050
H 2.4178 1.7207 4.2512 0.084
H 5.1328 1.0559 0.6468 0.083
H -3.1077 -2.8591 -5.7054 0.112
H 3.1655 1.6639 -0.5723 0.113
H 3.5833 -0.8679 3.0605 0.086
C -1.7118 4.2544 -3.1549 -0.090
H -3.8881 -1.8643 2.6580 0.122
O 1.2184 -2.9966 -3.6661 -0.310
H -0.0530 1.3554 -3.7658 0.096
N -1.2132 1.7199 -2.0814 -0.010
C 2.2617 0.2759 -1.9209 -0.065
H 1.7566 -4.1351 2.6330 0.087
C -2.0288 2.6385 -1.4021 -0.200
O -0.0323 -0.5603 2.3372 -0.241
H 2.4040 3.5253 0.9774 0.084
H 5.4095 -1.8983 -1.3950 0.114
S 1.1233 -1.5610 -3.6104 0.623
C -0.6702 2.0926 -3.2649 -0.140
H 4.4654 -2.0339 1.0279 0.068
N -2.4411 0.8100 -0.0173 0.008
C -3.6956 -1.1415 -2.8911 -0.090
C -1.4415 -1.3734 -3.3703 -0.450
C -2.2782 3.9094 -1.9630 -0.029
O 0.2941 0.3930 -0.0396 -0.336
H -0.2334 3.6677 2.4076 0.102
C -2.9008 0.1668 1.0850 -0.210
C -4.0097 -1.8944 -3.9975 -0.053
O -4.2953 4.2557 3.0307 -0.059
C 3.2706 0.7176 -1.0947 -0.023
C 2.8649 -1.6825 3.1886 -0.031
O 1.8746 1.0505 1.7602 -0.170
C -2.4128 -3.9642 0.4503 -0.054
C -2.6650 -1.2875 1.0090 -0.176
Cr -1.2136 -0.1207 -1.1947 0.861
H 0.0040 2.8195 0.8655 0.085
H 3.4493 -3.1959 0.1526 0.084
C 2.3689 -0.9648 -2.5348 -0.287
C 1.4094 -3.3347 1.9723 -0.031
N 5.4264 0.3930 -0.0503 0.111
H 3.4483 2.9657 2.3068 0.081
C 3.5007 -1.7477 -2.3554 -0.061
H -3.3863 3.9581 0.7574 0.121
C 4.4066 -0.0638 -0.8862 -0.324
C -3.7512 2.2361 1.9205 -0.090
H 0.7261 1.1761 4.1370 0.082
H -0.7351 1.9796 2.2389 0.079
C -3.2883 -2.2164 1.8280 0.017
N -2.4420 -0.8466 -2.6017 0.009
H -1.9141 5.2246 -3.5956 0.095
H 2.2475 4.2484 2.5957 0.089
H -4.4517 -0.7407 -2.2262 0.132
C -3.1551 -3.5609 1.5526 -0.045
H -3.9467 0.3468 2.9465 0.119
O -5.2605 2.3028 3.7249 -0.060
C -2.9381 -2.3044 -4.7864 -0.114
C 4.5241 -1.2882 -1.5476 -0.060
C 1.4121 2.0005 3.9172 -0.030
H -5.0343 -2.1314 -4.2471 0.098
H 6.0208 -0.3241 0.3266 0.077
C -4.5154 3.0218 3.0151 -0.680
N -0.2346 -1.1072 -2.7957 -0.134
N -1.6718 -2.0654 -4.4980 0.158
C -2.6045 2.1561 -0.1954 -0.203
C 0.0248 2.7121 1.9523 -0.024
H 3.3201 -2.4684 3.7953 0.086
H 1.9887 -1.2923 3.7060 0.077
C -1.7986 -2.9966 -0.3072 -0.094
H -3.6459 -4.2964 2.1789 0.110
C 2.4437 3.3209 2.0521 -0.037
C 2.4783 -2.2594 1.8258 -0.602
H -2.9483 4.5855 -1.4444 0.111
H 1.1701 -3.7572 0.9900 0.087
H -0.3973 3.5619 -4.7730 0.092
O 1.2016 -0.8042 -4.8332 -0.300
H 1.3799 0.8865 -2.0587 0.085
H -1.1830 -3.2574 -1.1618 0.124
H 4.1279 -3.6343 1.7415 0.091
C 3.7098 -2.8197 1.1435 -0.033
O 1.9933 -1.2277 0.9124 -0.144
C -3.5632 0.8376 2.0601 0.053
C -0.8712 3.3199 -3.8300 -0.085
H 3.5620 -2.7162 -2.8376 0.114
H 1.0875 2.8899 4.4645 0.089
P 0.8972 -0.1210 1.2761 0.317
```

=====

# 2
DFT (ωB97M-V/def2-TZVPD) results for 4 unconnected molecules or ions with the total composition C34H37F3NO3.

The LUMO energy (alpha / beta) is 0.70 / 0.30 eV. The spin multiplicity is 2. The molar mass comes out at 564.7 g mol⁻¹.

XYZ file:
```
78
Properties=species:S:1:pos:R:3:lowdin_charge:R:1
H 1.9886 -3.8026 -0.2004 0.089
H -4.6101 -1.0018 -1.1875 0.108
C -3.7420 -2.7795 1.5688 -0.070
H -7.9969 1.9572 2.0648 0.106
H 1.8865 0.0679 -2.1689 0.079
C 7.5103 2.9263 3.7442 -0.083
H 3.6357 0.3955 0.1476 0.090
C -2.1144 0.5352 2.3868 -0.447
H -3.8701 -3.7561 2.0168 0.105
F 4.5012 -0.1989 -5.4494 0.053
C 2.1604 -0.3916 -5.3850 -0.022
H -7.3240 -0.4303 1.8710 0.119
H 2.8099 -1.0795 2.5542 0.054
C -4.3236 -2.4950 0.3387 -0.076
C 1.3844 0.7249 -1.4610 -0.023
C 0.2081 0.5076 0.7551 -0.058
H 1.7634 -4.2584 1.5012 0.081
C 1.3973 -3.6236 0.6946 -0.028
C 3.2896 0.3104 -5.7543 -0.289
........

Exercise
What is needed: print only the lines above with the word "composition" in them.

Solution
DFT (ωB97M-V/def2-TZVPD) results for 4 unconnected molecules or ions with the total composition C34H37F3NO3.